Finally made the trip up to the DMZ on the weekend with my girlfriend, Sarah. We had to go up there on Friday night pretty much straight after work (well it was straight after work for her... I still had time to enjoy a seafood buffet at a work's dinner. Lovely it was. Sarah was starving when I met her) because we had to be at Camp Kim in Seoul by 7am. So we stayed at a cheap place Sarah knew in Noksapyeong and we were off bright and early the next morning. We met my mate Andrew at Samgakji (the stop closest to Camp Kim), went down to the USO base, sat around for 20 minutes and we were on the coach and off by 7:30. Like clockwork.
This is me at the DMZ. We all had to wear those JSA and USO tour badges.
This is Sarah looking much sharper than me and taking a way better photo.
That gray building is North Korea. In fact, on the path there is a noticeable division line. Over that line is North Korea. As you can see it travels through the two blue buildings, but we'll get onto that later.
See the ROK (Republic of Korea) soldier on the right? Well, he is standing in a Taekwondo stance 'ready to defend' apparently, as were all the ROK soldiers. You might've noticed he has half of his face covered by the wall of the building. Why? It's so he can get into cover quicker if fired upon yet he can still see them with one eye in the meantime. I wonder if he is constantly winking during this time or if he sees half blue, half North Korea.. Also, you can clearly see a North Korean guard in front of the gray building. You might have to click the picture to get a larger view to see him.
If I was standing on the other side of the ROK soldier then I would be in South Korea. As it happens, I'm standing on the guys left, which meant I was in North Korea. I know this because the military police guy told us. But its also because those microphones running down the center of the table there mark out the border between the North's side of the DMZ and the South's side. Those mics are monitored 24/7, which I thought was pretty cool.
Sarah in roughly the same position as me, except standing further from the guy because she was 'scared' :) To be honest, with good reason.
This is the good reason. Behind that door is North Korea. This guy is guarding that door. We were told not to pass the guy. Some dumbass American tourist stepped past him for a photo and the guy kicked off and slammed his foot on the ground and almost punched her.. Like, he got out of his Taekwondo stance and his arm shot up and almost hit her. The tour guide was like 'there's nothing I can do, so, seriously, don't pass him'. She just had to laugh it off, but in that kind of nervous, 'I almost shat myself' kind of way. I was genuinely laughing, however.
This is the flag pole on which is the world's largest flag. Guess which country it belongs to... The story goes: the South built an 100m tall flag pole and the North, who has a huge inferiority complex, if you didn't already know, built a 160m flag pole (see above) with the world's largest flag slapped on it. It doesn't help that below it is the propaganda village which is just for show. I don't know if they know any old tourist can walk up to the binoculars situated at Dora Observatory in the South and see that there's nothing going on there.
Dorasan Station is South Korea's train link to North Korea. Apparently, pre-Cheonan sinking the South traded with the North through this rail link. But they sunk their battleship so they stopped it.
It took just over an hour to get to the JSA briefing room from Camp Kim, which was just enough time to use up a lot of Sarah's iPod touch battery playing 'Plants Vs Zombies'. Before we knew it we were getting our passports checked by a U.S. military policeman, who was also our tour guide, and being told what we can and cannot do. I've got a sheet detailing all of the things we were prohibited from doing but basically we should just listen to the guy, stick with the group and try our best not to provoke the North Koreans, i.e. don't wave or gesture - I was gutted about the not waving part :( I wanted a cool picture.
As we were escorted into the main DMZ part that everyone sees on TV (the coolest part) we were greeted by the sight of a huge gray building in front of which were a few North Korean guards, one of which was looking at us through binoculars. It's hard to describe how I was feeling at this time because as I walked into view of the main area the sheer significance of this place hit me. I've never really viewed history in the making, outside of TV anyway, but I really felt like it was a place that I probably shouldn't be. Like it was too important for tourists. Too real. Nevertheless, I took uber tourist pictures like I always do, posing like I was in Disneyland. Difference is the people in uniforms at the DMZ are more likely to hurt you than a teenager in a Donald Duck costume.
• The entry is interrupted by materials data:
********
The following is a PBE with a Hubbard U calculation of a relaxed Li32Mn11Cr5O48 crystal, from the Materials Project.

Results
E above lowest polymorph = 0.000 eV per atom
space-group type = P1

Cell lengths 5.0067, 5.0065, 38.4484 Å; angles 91.02, 91.03, 119.67 degrees
Closest atoms and distances in Å follow each position.
Positions (direct):
Cr1 0.4825 0.6419 0.4375  6 O 1.90-1.98
Cr2 0.7329 0.8921 0.1875  6 O 1.90-1.98
Cr3 0.8580 0.0174 0.5625  6 O 1.90-1.98
Cr4 0.6078 0.7671 0.8125  6 O 1.90-1.98
Cr5 0.6422 0.4832 0.9375  6 O 1.90-1.98
O1 0.9289 0.4291 0.7160  2 Mn 1.95, 4 Li 2.04-2.14
O2 0.3233 0.4613 0.9655  1 Cr 1.90, 1 Mn 1.95, 2 Li 2.06-2.11
O3 0.8195 0.3202 0.5340  1 Mn 1.94, 1 Cr 1.97, 4 Li 2.04-2.14
O4 0.9114 0.0542 0.6595  2 Mn 1.93-1.95, 2 Li 2.06-2.08
O5 0.9691 0.8274 0.9659  1 Mn 1.92, 1 Cr 1.98, 3 Li 2.05-2.16
O6 0.6960 0.8384 0.0905  2 Mn 1.93-1.95, 2 Li 2.06-2.09
O7 0.1800 0.6809 0.4659  1 Mn 1.95, 1 Cr 1.97, 4 Li 2.03-2.14
O8 0.0541 0.5540 0.0909  2 Mn 1.95, 4 Li 2.04-2.14
O9 0.0772 0.2190 0.2159  1 Mn 1.92, 1 Cr 1.98, 2 Li 2.06-2.07
O10 0.4061 0.5477 0.1591  1 Mn 1.92, 1 Cr 1.98, 2 Li 2.05-2.07
O11 0.3211 0.8208 0.0340  2 Mn 1.95, 4 Li 2.04-2.14
O12 0.5318 0.6733 0.5342  1 Mn 1.93, 1 Cr 1.98, 2 Li 2.06-2.08
O13 0.9443 0.4437 0.9090  1 Mn 1.95, 1 Cr 1.97, 4 Li 2.04-2.16
O14 0.1955 0.6959 0.6590  2 Mn 1.95, 4 Li 2.04-2.14
O15 0.2018 0.3435 0.5908  1 Mn 1.93, 1 Cr 1.97, 2 Li 2.06-2.08
O16 0.1556 0.2979 0.4091  1 Mn 1.92, 1 Cr 1.98, 2 Li 2.05-2.07
O17 0.2977 0.1561 0.9092  1 Mn 1.92, 1 Cr 1.98, 3 Li 2.06-2.15
O18 0.9518 0.0940 0.8408  1 Mn 1.93, 1 Cr 1.98, 3 Li 2.05-2.14
O19 0.6811 0.1799 0.9660  1 Mn 1.94, 1 Cr 1.97, 4 Li 2.03-2.15
O20 0.7865 0.9292 0.2845  2 Mn 1.93-1.95, 2 Li 2.06-2.09
O21 0.4458 0.5885 0.3405  2 Mn 1.93-1.95, 2 Li 2.06-2.09
O22 0.4611 0.3225 0.4654  1 Cr 1.90, 1 Mn 1.95, 2 Li 2.06-2.11
O23 0.3048 0.8055 0.8410  1 Mn 1.95, 1 Cr 1.97, 4 Li 2.04-2.15
O24 0.8041 0.3041 0.3410  2 Mn 1.95, 4 Li 2.04-2.14
O25 0.9272 0.7887 0.7846  1 Cr 1.90, 1 Mn 1.95, 2 Li 2.06-2.11
O26 0.0366 0.1795 0.0346  2 Mn 1.93-1.95, 2 Li 2.06-2.08
O27 0.5864 0.4478 0.8405  1 Cr 1.90, 1 Mn 1.95, 2 Li 2.06-2.11
O28 0.0707 0.5710 0.2840  2 Mn 1.95, 4 Li 2.04-2.14
O29 0.3388 0.1953 0.0904  2 Mn 1.93-1.94, 2 Li 2.06-2.08
O30 0.5551 0.0558 0.5910  1 Mn 1.95, 1 Cr 1.97, 4 Li 2.03-2.14
O31 0.0884 0.9454 0.3404  2 Mn 1.93-1.94, 2 Li 2.06-2.08
O32 0.6793 0.5366 0.0345  2 Mn 1.93-1.95, 2 Li 2.06-2.09
O33 0.8273 0.9688 0.4659  1 Mn 1.92, 1 Cr 1.98, 2 Li 2.06-2.07
O34 0.4442 0.9454 0.4090  1 Mn 1.95, 1 Cr 1.97, 4 Li 2.03-2.14
O35 0.4295 0.2866 0.2846  2 Mn 1.93-1.95, 2 Li 2.06-2.08
O36 0.4301 0.9311 0.2161  1 Mn 1.95, 1 Cr 1.97, 4 Li 2.03-2.15
O37 0.8363 0.6974 0.5905  1 Cr 1.90, 1 Mn 1.95, 2 Li 2.06-2.11
O38 0.1782 0.0386 0.5346  1 Cr 1.91, 1 Mn 1.94, 2 Li 2.06-2.10
O39 0.7110 0.5730 0.2155  1 Cr 1.90, 1 Mn 1.95, 2 Li 2.06-2.12
O40 0.5542 0.4116 0.6596  2 Mn 1.93-1.95, 2 Li 2.06-2.09
O41 0.6938 0.1947 0.1590  1 Mn 1.95, 1 Cr 1.97, 4 Li 2.04-2.15
********
Here are some pictures:
After this we then wandered into that blue building on the left of the picture which is where all the North Korea/South Korea & allies meet for discussions. Guess what? Here are some pictures:
The tour guide said it's both her's and South Korea's dream to reunify with the North. Prior to this tour, I didn't really realise how much the South actually cares about the North. Maybe not the system it runs, maybe not the people in charge of indoctrinating it's millions, but the people under the mess at the top are Korean's too and the South want the two to unify as they once did. Many South Korean's have family in the North, which is one of the reasons why there is a 6 month background check for Korean's to take the tour we bumbled on in 4 days because the South are worried about what these people will do when presented with the Korean border. A lot of people in the West see North Korea as the enemy. South Korean's, however, perceive them as their family... except maybe Kim Jong Il. He probably won't receive a hug and kiss. Poor guy :/